PyQt: Global copy/paste actions for custom widgets - menu

Inserted here: crystal structures:
~~~
CaTl2Cu: calculated XRD peak list (CuKα), based on a cell relaxed with GGA-PBE.

Most intense lines, 2θ from 10° to 90°, by angle:
18.2 deg, rel. 31, hkl 0 0 2
18.4 deg, rel. 15, hkl 0 1 1
28.7 deg, rel. 29, hkl 1 1 0
31.9 deg, rel. 15, hkl 0 1 3
32.4 deg, rel. 34, hkl 0 2 0
34.2 deg, rel. 100, hkl 1 1 2
36.5 deg, rel. 16, hkl 1 0 3
49.5 deg, rel. 13, hkl 0 1 5
49.6 deg, rel. 13, hkl 1 2 3
58.9 deg, rel. 21, hkl 1 3 2

Cell and atoms:
Cell: 3.759 5.529 9.771 Å, 90.00 90.00 90.00°
Space group Immm (No. 71)
Unique sites:
Ca 0.000 0.000 0.000 [2 per cell]
Tl 0.000 0.500 0.213 [4 per cell]
Cu 0.000 0.000 0.500 [2 per cell]

----------

The following is a simulated powder X-ray diffraction pattern of Nd4MgRh4O12. It was derived from a PBE-relaxed structure, using Cu Kα X-rays.
No peak broadening, texture or thermal motion is included.

Most intense lines, 5° ≤ 2θ ≤ 70°, in order of rising 2θ:
2θ (°), d [Å], I (rel.)
26.59, 3.353, 30
29.18, 3.060, 41
29.39, 3.039, 100
30.11, 2.968, 52
31.53, 2.837, 26
33.69, 2.660, 61
35.25, 2.546, 21
37.26, 2.413, 13
48.06, 1.893, 22
48.93, 1.861, 13
50.17, 1.818, 22
57.76, 1.596, 15

Atomic structure:
```
data_Nd4MgRh4O12
_space_group_name_H-M_alt 'P 1 m 1'
_space_group_IT_number 6
_cell_length_a 6.2211
_cell_length_b 7.5730
_cell_length_c 6.4193
_cell_angle_alpha 90.00
_cell_angle_beta 107.43
_cell_angle_gamma 90.00
loop_
_space_group_symop_operation_xyz
'x,y,z'
'x,-y,z'
loop_
_atom_site_label
_atom_site_type_symbol
_atom_site_fract_x
_atom_site_fract_y
_atom_site_fract_z
_atom_site_occupancy
Nd1 Nd 0.0000 0.0000 0.0000 1
Nd2 Nd 0.0054 0.5000 0.2331 1
Nd3 Nd 0.4054 0.0000 0.6060 1
Nd4 Nd 0.5077 0.5000 0.7078 1
Mg1 Mg 0.6495 0.0000 0.1667 1
Rh1 Rh 0.4427 0.2736 0.1575 1
Rh2 Rh 0.9505 0.2582 0.6414 1
O1 O 0.0667 0.0000 0.6721 1
O2 O 0.1039 0.2984 0.9754 1
O3 O 0.3149 0.3103 0.4279 1
O4 O 0.3589 0.0000 0.2267 1
O5 O 0.5605 0.5000 0.0938 1
O6 O 0.5801 0.1862 0.9055 1
O7 O 0.7938 0.2179 0.3206 1
O8 O 0.8394 0.5000 0.6111 1
```
~~~

I'm writing a tool which has a big custom text area widget and a lot of other text input widgets, etc. I'm currently working with adding copy/paste to my tool and got stuck on how to do this on a global level - i.e. I don't want to implement copy/paste locally in every widget that needs it. For Qt standard widgets it just works to use copy/paste with Ctrl+C/Ctrl+V, but of course I have to implement it manually for my custom widgets.
But what about copy/paste actions in the menu bar? Do I have to connect them to every widget that exists in my program, or is there some better built in way to do this? I would prefer if I could just connect the menu actions to some global copy/paste handler that notifies the widget in focus automatically.

There is no generic copy/paste functionality - for custom widgets, you will have to implement everything yourself. The QClipboard class provides access to the system clipboard. Every application has a single clipboard object, which can be accessed via QApplication.clipboard() or qApp.clipboard().
The standard Qt input widgets all define their own copy() and paste() slots that can be connected to menu actions, toolbar buttons, keyboard shortcuts, etc. So your custom widgets should probably define the same interface.
There are classes such as QActionGroup, QButtonGroup, and QSignalMapper that provide support for centralised signal handling, but it is often much simpler to stick with explicit, one-to-one connections.

[Crystal structures, as found in the file]
Record 1
Calculated powder diffraction line list of Tb8YCd2 for Cu Kα, from a cell relaxed with PBE.
Lines closer than 0.1° are merged.

Crystal structure
a = 8.7642 Å, b = 8.7642 Å, c = 5.6058 Å
α = 101.20°, β = 101.20°, γ = 119.92°
Element x y z (fractional)
Tb 0.0946 0.3199 0.6139
Tb 0.2199 0.7801 0.0000
Tb 0.3199 0.0946 0.6139
Tb 0.4013 0.4013 0.2019
Tb 0.5987 0.5987 0.7981
Tb 0.6801 0.9054 0.3861
Tb 0.7801 0.2199 0.0000
Tb 0.9054 0.6801 0.3861
Y 0.0000 0.0000 0.0000
Cd 0.3057 0.6943 0.5000
Cd 0.6943 0.3057 0.5000

Top 8 peaks for 10° ≤ 2θ ≤ 90°, low angle first:
d (Å)	2theta	I_rel
3.058	29.21	74
3.009	29.69	47
2.843	31.46	100
2.767	32.36	81
2.749	32.57	60
2.714	33.01	48
2.647	33.87	100
1.556	59.41	33


Record 2
Calculated powder diffraction line list of PrNd4DyTm2 for Cu Kα, from a cell relaxed with PBE.
Lines closer than 0.1° are merged.

Crystal structure
a = 6.2488 Å, b = 6.2488 Å, c = 10.2852 Å
α = 114.42°, β = 114.42°, γ = 48.53°
Element x y z (fractional)
Pr 0.0000 0.0000 0.0000
Nd 0.2491 0.2491 0.8731
Nd 0.2506 0.2506 0.3763
Nd 0.7494 0.7494 0.6237
Nd 0.7509 0.7509 0.1269
Dy 0.0000 0.0000 0.5000
Tm 0.4998 0.4998 0.2524
Tm 0.5002 0.5002 0.7476

Top 8 peaks for 10° ≤ 2θ ≤ 90°, low angle first:
d (Å)	2theta	I_rel
2.955	30.24	100
2.570	34.92	34
2.539	35.36	17
1.817	50.21	12
1.806	50.52	18
1.547	59.77	22
1.534	60.33	14
1.172	82.29	9


Record 3
Calculated powder diffraction line list of Pm2ErTm5Sc for Cu Kα, from a cell relaxed with PBE.
Lines closer than 0.1° are merged.

Crystal structure
a = 9.7887 Å, b = 9.7887 Å, c = 9.7887 Å
α = 129.07°, β = 129.07°, γ = 74.90°
Element x y z (fractional)
Pm 0.1193 0.6193 0.7386
Pm 0.3807 0.1193 0.5000
Pm 0.6193 0.8807 0.5000
Pm 0.8807 0.3807 0.2614
Er 0.2500 0.2500 0.0000
Er 0.7500 0.7500 0.0000
Tm 0.0000 0.0000 0.0000
Tm 0.0673 0.1469 0.5000
Tm 0.1469 0.6469 0.0795
Tm 0.3531 0.4327 0.5000
Tm 0.4327 0.9327 0.0795
Tm 0.5000 0.5000 0.0000
Tm 0.5673 0.0673 0.9205
Tm 0.6469 0.5673 0.5000
Tm 0.8531 0.3531 0.9205
Tm 0.9327 0.8531 0.5000
Sc 0.2500 0.7500 0.5000
Sc 0.7500 0.2500 0.5000

Top 8 peaks for 10° ≤ 2θ ≤ 90°, low angle first:
d (Å)	2theta	I_rel
3.045	29.33	63
2.976	30.03	52
2.855	31.33	100
2.662	33.67	27
2.309	39.01	18
1.899	47.89	16
1.694	54.14	21
1.519	60.98	13


Record 4
Calculated powder diffraction line list of Na6Tl3Br14 for Cu Kα, from a cell relaxed with PBE.
Lines closer than 0.1° are merged.

Crystal structure
a = 11.2077 Å, b = 11.2077 Å, c = 7.3152 Å
α = 90.00°, β = 90.00°, γ = 120.00°
Element x y z (fractional)
Na 0.1174 0.7555 0.0000
Na 0.2445 0.3619 0.0000
Na 0.4523 0.0852 0.5116
Na 0.6329 0.5477 0.5116
Na 0.6381 0.8826 0.0000
Na 0.9148 0.3671 0.5116
Tl 0.0000 0.0000 0.4076
Tl 0.3333 0.6667 0.4265
Tl 0.6667 0.3333 0.9412
Br 0.0000 0.0000 0.7612
Br 0.1041 0.5209 0.1879
Br 0.1852 0.4280 0.6364
Br 0.2428 0.8148 0.6364
Br 0.2456 0.1401 0.2519
Br 0.4168 0.8959 0.1879
Br 0.4283 0.2982 0.7533
Br 0.4791 0.5832 0.1879
Br 0.5720 0.7572 0.6364
Br 0.6667 0.3333 0.3348
Br 0.7018 0.1301 0.7533
[Back to the text]


Combox nested within another Combobox

Using wxPython, is it possible to nest a combobox inside other combobox in a similar way to how submenus are nested within menus? I need something similar for a wx.Combobox or a wx.Choice.
Or is there any widget with which this can be done?
Well, there are some possibilities:
# possibly also:
You might also use a button (or some control) to invoke a PopupMenu. It may be confusing for the user though, and you might get into trouble when trying to position the Popup menu correctly. Generally speaking, I advice not to be too creative when making UI.
Have you seen wxpython demo? It is a nice showcase of all possible widgets. You can obtain it from here:

Windows Explorer Navigation Bar in PyQt

What's the best approach to mimic the Windows Explorer navigation bar in PyQt?. Perhaps a list of QComboBoxes as part of a parent class that concatenates the current item of each combo box to resolve the final path?
Is it possible to get a similar look by using stylesheets?
This is the object I need to mimic. I just want a theoretical approach about the best way to mimic it.
Thanks in advance
This is technically known as a breadcrumb widget.
There are multiple approaches to this. The closest emulation to Windows Explorer's behavior--leaving out the normally hidden line editor--involves a chain of widgets like so:
A top level parent QWidget-derived class with your implementation, which would have:
A QHBoxLayout
An arbitrary number of QComboBoxes
A QFileSystemModel from which to populate the combo boxes.
You could use a single QLabels with a series of hyperlinks divided by path separators if you don't care about drop-down behavior. Qt Creator does this.
If your data source is static and not as gigantic as the filesystem, you could use QToolButtons backed by a tree of QAction/QMenus. This is possibly a masochistic approach, given that you have to populate all of the actions and menus. Since that's what they are there for, though, it might be handy as part of a context-sensitive menubar or tab bar.
I was looking for such a widget too without any luck. So I've tried to implement this by myself. It's not finished yet and needs some more work, but here's the first result: breadcrumbsaddressbar.
It's based on QToolButton widgets with menu. Parts of address which don't fit are hidden like in Windows Explorer. Also the widget has auto-completion feature.
Update: there's also a C++ widget QtAddressBar which I have't tried.

PyQt inside Scene 3D of Blender

These calculated crystals were left in the page by mistake:
Starting from a PBE-relaxed structure, the powder XRD pattern of UAs12Rh4 was calculated for Cu Kα.

Atomic structure:
```
data_UAs12Rh4
_space_group_name_H-M_alt 'P 1'
_space_group_IT_number 1
_space_group_name_Hall 'P 1'
_cell_length_a 7.4963
_cell_length_b 7.4963
_cell_length_c 7.4963
_cell_angle_alpha 109.47
_cell_angle_beta 109.47
_cell_angle_gamma 109.47
loop_
_atom_site_label
_atom_site_fract_x
_atom_site_fract_y
_atom_site_fract_z
U1 0.0000 0.0000 0.0000
As1 0.1441 0.3401 0.4842
As2 0.1441 0.6599 0.8040
As3 0.1960 0.8559 0.3401
As4 0.3401 0.1960 0.8559
As5 0.3401 0.4842 0.1441
As6 0.4842 0.1441 0.3401
As7 0.5158 0.8559 0.6599
As8 0.6599 0.5158 0.8559
As9 0.6599 0.8040 0.1441
As10 0.8040 0.1441 0.6599
As11 0.8559 0.3401 0.1960
As12 0.8559 0.6599 0.5158
Rh1 0.0000 0.0000 0.5000
Rh2 0.0000 0.5000 0.0000
Rh3 0.5000 0.0000 0.0000
Rh4 0.5000 0.5000 0.5000
```

Top 10 peaks for 2θ from 5° to 70°, sorted by position:
2theta, I (rel.)
14.47, 19
29.18, 40
32.72, 100
38.93, 62
41.74, 8
46.94, 20
51.74, 50
54.02, 39
62.57, 8
68.57, 16

=====

Starting from the PBE geometry in OQMD, the powder diffraction line list of Pr4CBr4Cl was simulated for Cu Kα (λ = 1.5418 Å).
Peak positions follow from Bragg's law for the DFT cell and can differ from measured ones.

Crystal structure
Cell: 9.492 9.492 8.260 Å, 103.67 103.67 24.10°
Fractional positions:
Pr 0.001 0.001 0.286
Pr 0.358 0.358 0.418
Pr 0.642 0.642 0.582
Pr 0.999 0.999 0.714
C 0.500 0.500 0.500
Br 0.164 0.164 0.859
Br 0.170 0.170 0.327
Br 0.830 0.830 0.673
Br 0.836 0.836 0.141
Cl 0.500 0.500 0.000

Main lines, low angle first (5° ≤ 2θ ≤ 70°):
2θ (°), intensity
11.0, 46
29.8, 48
30.6, 20
31.3, 100
33.6, 23
43.4, 28
43.9, 15
44.0, 31
45.8, 20
55.6, 16

=====

Simulated powder X-ray diffraction pattern of RbTmI3 for a wavelength of 1.5418 Å, from a PBE-relaxed structure.

Largest 6 diffraction maxima, by angle, 2θ from 10° to 90°:
index	Position (°2θ)	d (Å)	intensity
1 1 3	26.89	3.316	52
2 1 0	26.99	3.303	36
2 1 1	27.45	3.249	67
2 1 2	28.80	3.100	100
0 1 5	32.40	2.763	35
0 2 0	41.82	2.160	52

Structural model:
abc: 10.2457 4.3216 17.9662
angles: 90.00 90.00 90.00
Space group Pnma (No. 62)
Symmetry-distinct sites (fractional):
1 Rb 0.0704 0.2500 0.1724 [4 per cell]
2 Tm 0.1220 0.7500 0.4573 [4 per cell]
3 I 0.0467 0.7500 0.6237 [4 per cell]
4 I 0.1757 0.7500 0.0027 [4 per cell]
5 I 0.2298 0.2500 0.8060 [4 per cell]

---

Simulated powder X-ray diffraction pattern of Rb2UI5 for a wavelength of 1.5418 Å, from a PBE-relaxed structure.

Largest 6 diffraction maxima, by angle, 2θ from 10° to 90°:
index	Position (°2θ)	d (Å)	intensity
1 0 1	11.04	8.013	57
2 2 1	23.26	3.824	39
4 0 1	25.11	3.547	43
1 2 2	26.68	3.341	100
2 2 2	28.56	3.126	50
5 2 1	35.68	2.516	36

Structural model:
abc: 15.3202 9.9916 9.4022
angles: 90.00 90.00 90.00
Space group Pnma (No. 62)
Symmetry-distinct sites (fractional):
1 Rb 0.1749 0.0017 0.0372 [8 per cell]
2 U 0.0014 0.7500 0.5737 [4 per cell]
3 I 0.0119 0.7500 0.9163 [4 per cell]
End of the calculated crystals:

I import the PyQt5 library under blender and I created a command interface.
My problem is that I found myself with two windows (one of blender of course and one of PyQt)
Is there any way to automatically embed (in the script) the PyQt window inside the Blender 3D scene?
I don't believe you will get that to work unless you alter blender's source code and build your own version of blender. While you have access to using a range of widgets that blender uses for it's UI, there aren't any ways to incorporate other GUI toolkits into blender's UI.
Blender uses python to define it's user interface and provide access to it's internal data. You can define your own panels, which are collapsible groups of UI widgets, that will be incorporated into blender's UI with the existing panels. You can define operators to perform custom actions, which are then attached to buttons displayed in your custom panels. You can also create addons so that your additions can be enabled every time blender is run.
To get more control over customising the UI appearance you could use the bgl module, I'm not certain if this can be used outside of a 3DView but you could turn a 3DView into your custom drawing area.

Menu Button that does not dismiss options onclick in JavaFX 2

I am quite new in JavaFX and I have a question about the design. I am creating my main menu in FXML using Scene Builder. I have various menu buttons and each of these have a sub-menu. These sub-menu options will open new windows. Is it possible to declare these submenu choices so they do not dissapear after I click on them? If so, can I declare it in my fxml or I have to do it programatically?
Also, is it possible to detach it from the menu button? I would like to have my menu choices around 1 cm away from the menu button itself.
Thank you
Suggested Alternate Solution
If you want more flexibility in positioning a popup menu after a button click as well as fine control over when the menu shows and hides, try using a Button + a ContextMenu rather than a MenuButton.
The relevant methods are:, side, dx, dy)
There is sample code for triggering a context menu on a button press button in the ContextMenu javadoc.
You might also need to monitor the context menu's showingProperty and in a listener show the menu again if the JavaFX system has decided to try and hide it after some user action and you still want the menu visible.
Answers to additional unrelated comments
OK It sounds logical, yet since Im not really good in JavaFX yet, your Idea is quite challenging.
It's not that hard to implement, but from your subsequent comments it sounds like it's probably not the user interface you want for your users anyway (which makes sense to me because the interface you describe in your question seems a little strange).
I thought If it would be easier to have a static xml that have various menu choices, lets say aligned to the right and then whenever I click one of the choices, a new FXML would be loaded in the middle of the screen holding buttons for a submenu?
That seems logical. Sounds like a JavaFX version of a traditional web page layout with a navigation menu on the side controlling a content pane in the center.
A Java only version of that is: How to have menus in java desktop application. You could adapt that to a FXML based version without too much difficulty.
You might also be interested in Managing Multiple Screens in JavaFX.
Also, any tutorial for beginners would be greatly appreciated. These Oracle ones dont make too much sense for me
If you are beginning JavaFX, I recommend using just the Java API portions of JavaFX until you become familiar with them, and then use FXML only after you are comfortable with the Java API.
Personally, I think the Oracle JavaFX Tutorials are excellent. The difficulty for beginners is that the tutorials are also part reference material, which complicates portions of them (especially the deployment related pieces).
If you prefer a different tutorial style see:
Makery JavaFX tutorial (good for beginners)
zenjava tutorials (more advanced)

How to disable or apply custom menu to GTK (PyGTK) Notebook pages?

I am trying to apply custom menu to tab pages on my notebook control. I need to be able to select certain specific action for the entire page and i figured the tab label would be the best place to start.
So, i created a EventBox, applied Label as its child, and bound event callbacks to button-pressed-event and it... works.. kindof.
What i get is two menus: one is the one I create, and on top of it - the one created by GTK Notebook. to select something from my custom menu i need to escape the notebook menu first, and i certainly don't like it.
so the question is: how do I disable gtk notebook menus? or how can i set my own, custom menu, with my own, custom callbacks? I don't want to list all the available tab pages in the menu - it's introducing too much noise, so adding menu labels to the existing menu is not really the way to go.
thanks bunches
GtkNotebook should only show the tab selector if enable-popup is true. It defaults to false, so you've probably enabled it by mistake.
